Wicked Choice Read Online Sawyer Bennett (The Wicked Horse Vegas #4)

Categories Genre: Alpha Male, Erotic, Romance Tags Authors: Series: The Wicked Horse Vegas Series by Sawyer Bennett

Total pages in book: 76
Estimated words: 71348 (not accurate)
Estimated Reading Time in minutes: 357(@200wpm)___ 285(@250wpm)___ 238(@300wpm)

Maybe that’s why I feel so strongly about this baby… while Rachel is sort of able to treat it like a road bump in her life.



I normally love the sounds of a gym. Clanging of metal on metal, the hum of a treadmill, and the grunts of exertion. It’s certainly no chore when the gym is busy such as it is now with hot, ripped guys. I’ve never been able to explain the phenomena, but for some reason, men have to be insanely gorgeous and built to perfection to work at The Jameson Group. My eyes are having a tough time staying focused on my little work area because I keep wanting to let them stray over to Bodie while he works out with Cage. We’d all flown in on a private charter from L.A. this morning, and then we shared an Uber to come right to the gym to workout.

It was slightly weird flying back with the team, and by weird, I mean sitting across from Bodie and not continually thinking about how great sex is with him. He and I stayed up a good chunk of the night and into the early morning hours just gorging on each other. I kicked him out of my bed around three AM, so I could get a few hours of sleep before our flight. He grumbled about it, but he eventually went. Whenever I happened to look at him during the flight, he would either shoot me a wink or knowing smile. One time, he even licked his bottom lip. I almost combusted.

Damn pregnancy hormones.

The Jameson Group’s gym is state of the art and geared for more than just strength or cardio training. A huge rock wall takes up the eastern side, extending up two stories. There’s an indoor obstacle course that would rival any military boot camp facility, and just off the gym complex is an indoor shooting range. My favorite, though, is the knife station. Three straw dummies are set up with head, chest, and femoral artery targets, and there’s a case full of different-sized throwing knives.

I’m practicing trying to hit the femoral artery of the dummy that’s furthest away. So far, I’ve managed to hit his little straw nuts three times in a row. I pick up a six-inch Japanese Shinobi, flip it in the air so I catch it by the blade, and cock my arm back to launch. Clearing my mind, I focus my gaze to the left side of the dummy’s nut sack and let my confidence clear the way. I launch, and the silver knife glints as it tumbles end over end.

Solid strike to the testicles once again.

“Goddamn motherfucking hairy balls,” I growl a little too loudly. Tank Richardson, another explosives expert at Jameson, gives me a startled look as he throws knives at the dummy in the lane next to me.

“Sorry,” I mutter.

“Take a deep breath,” he says as he chooses a knife from the tray beside him.

“Excuse me?” I snap. I don’t need to be told to calm the fuck down, which given the quick flush of anger that overtakes me, might actually be good advice.

Fuck you, pregnancy hormones.

“It helps if just before you throw, you take a deep breath and hold it,” he says, either unaware of the anger brewing just under the surface or not really caring.

Knowing Tank, he just doesn’t care. He’s a big brute of a guy with the personality of a fresh Brillo pad. All abrasive and uncaring if he scratches people up.

“Thanks for nothing,” I mutter under my breath. Tank throws his knife, and it hits the dummy’s right eye. He gives me a knowing smirk, and I contemplate launching my next knife to see if I can hit that curve of his lip on the left side of his face.

Even though I can’t stand him in this moment, I grudgingly accept Tank’s advice and suck in a deep breath. I cock my arm, take aim, and laser my eyes onto the target.



Direct hit to the testicles yet again.

Someone pasted materials data at this point:
<<<
(i)
CaAg2Ru | PBE | relaxed

Output
Space-group type: P4/mmm, No. 123

Cell lengths 3.5071, 3.5071, 6.4380 Å; angles 90.00, 90.00, 89.99 degrees
Each line ends with the local moment (μB).
Atoms (fractional coordinates):
Ru 0.5000 0.5000 0.7500  0.83
Ca 0.5000 0.5000 0.2500  -0.01
Ag 0.0000 0.0000 0.9640  0.02
Ag 0.0000 0.0000 0.5360  0.02

(ii)
CaAg2Ru | PBE | relaxed

Output
Space-group type: R-3m, No. 166

Cell lengths 9.9161, 9.9161, 9.9161 Å; angles 17.41, 17.41, 17.41 degrees
Each line ends with the local moment (μB).
Atoms (fractional coordinates):
Ru 0.7500 0.7500 0.7500  0.93
Ca 0.2500 0.2500 0.2500  0.02
Ag 0.0055 0.0055 0.0055  0.02
Ag 0.4945 0.4945 0.4945  0.02

Stability verdict: (i), ahead by 261 meV/atom

(i)
Ca4AgRu | PBE | relaxed

Output
Space-group type: C2/c, No. 15

Cell lengths 6.4571, 8.2935, 8.2935 Å; angles 111.56, 106.89, 106.89 degrees
Atoms (fractional coordinates):
Ca 0.7928 0.6526 0.7769
Ca 0.0856 0.9463 0.2839
Ca 0.7072 0.2231 0.3474
Ca 0.4144 0.7161 0.0537
Ca 0.5856 0.2839 0.9463
Ca 0.2928 0.7769 0.6526
Ca 0.9144 0.0537 0.7161
Ca 0.2072 0.3474 0.2231
Ag 0.7500 0.6365 0.3635
Ag 0.2500 0.3635 0.6365
Ru 0.2500 0.9983 0.0017
Ru 0.7500 0.0017 0.9983

(ii)
Ca4AgRu | PBE | relaxed

Output
Space-group type: F-43m, No. 216

Cell lengths 6.1679, 6.1679, 6.1679 Å; angles 60.00, 60.00, 60.00 degrees
Atoms (fractional coordinates):
Ca 0.3759 0.8724 0.3759
Ca 0.8724 0.3759 0.3759
Ca 0.3759 0.3759 0.8724
Ca 0.3759 0.3759 0.3759
Ag 0.0000 0.0000 0.0000
Ru 0.7500 0.7500 0.7500

Stability verdict: (i), ahead by 920 meV/atom

(i)
Ca2AgRu2 | PBE | relaxed

Output
Space-group type: P4/mbm, No. 127

Cell lengths 8.6517, 8.6517, 2.9855 Å; angles 90.00, 90.00, 90.00 degrees
Each line ends with the local moment (μB).
Atoms (fractional coordinates):
Ru 0.0937 0.5937 0.5000  0.60
Ru 0.5937 0.9063 0.5000  0.54
Ru 0.9063 0.4063 0.5000  0.60
Ru 0.4063 0.0937 0.5000  0.54
Ca 0.3093 0.8093 0.0000  0.02
Ca 0.8093 0.6907 0.0000  0.02
Ca 0.6907 0.1907 0.0000  0.02
Ca 0.1907 0.3093 0.0000  0.02
Ag 0.0000 0.0000 0.0000  0.00
Ag 0.5000 0.5000 0.0000  0.00

(ii)
Ca2AgRu2 | PBE | relaxed

Output
Space-group type: P4/mbm, No. 127

Cell lengths 6.9098, 6.9098, 4.5015 Å; angles 90.00, 90.00, 90.00 degrees
Each line ends with the local moment (μB).
Atoms (fractional coordinates):
Ru 0.3808 0.8808 0.0000  0.43
Ru 0.8808 0.6192 0.0000  0.45
Ru 0.6192 0.1192 0.0000  0.43
Ru 0.1192 0.3808 0.0000  0.45
Ca 0.1782 0.6782 0.5000  0.01
Ca 0.6782 0.8218 0.5000  0.01
Ca 0.8218 0.3218 0.5000  0.01
Ca 0.3218 0.1782 0.5000  0.01
Ag 0.0000 0.0000 0.0000  0.01
Ag 0.5000 0.5000 0.0000  0.01

Stability verdict: (ii), ahead by 330 meV/atom

----------

(1)
Material: HoCuSb
Method: DFT, GGA-PBE
State: relaxed

spin magnetization: 0.00 μB/f.u.
energy relative to the elements, uncorrected: -0.65 eV per atom

Lattice parameters (Å, degrees): 4.3229 4.3229 4.0857 90.00 90.00 120.00
Space group P3m1 (No. 156)
Asymmetric unit:
Ho: 0.0000 0.0000 0.0000 (multiplicity 1)
>>>

Fury at my own ineptitude paralyzes me for a moment. It’s how I felt when I saw Joram take a bullet, and then an image of Tank smirking at me fills my gaze. He’s not actually smirking at me right now because I’m still staring at the knife lodged firmly in the center of the dummy’s groin, but I can just imagine it.

The paralyzed feeling melts away, and I’m able to move. In a burst of frustration, my hand flies out, sweeping the entire knife case off the table beside me. It goes flying a good ten feet before the knives clatter out against the concrete flooring.

“You stupid motherfucking useless testicle-guided butter knives,” I yell at my adversaries, cringing when the echo of my own petulant tantrum is thrown back at me.


